Supriya Krishnamurthy
Research projects
A selection from Stockholm University publication database
Inferring Entropy Production from Short Experiments
2020. Sreekanth K. Manikandan, Deepak Gupta, Supriya Krishnamurthy. Physical Review Letters 124 (12)
ArticleWe provide a strategy for the exact inference of the average as well as the fluctuations of the entropy production in nonequilibrium systems in the steady state, from the measurements of arbitrary current fluctuations. Our results are built upon the finite-time generalization of the thermodynamic uncertainty relation, and require only very short time series data from experiments. We illustrate our results with exact and numerical solutions for two colloidal heat engines.
Efficiency Fluctuations in Microscopic Machines
2019. Sreekanth K. Manikandan (et al.). Physical Review Letters 122 (14)
ArticleNanoscale machines are strongly influenced by thermal fluctuations, contrary to their macroscopic counterparts. As a consequence, even the efficiency of such microscopic machines becomes a fluctuating random variable. Using geometric properties and the fluctuation theorem for the total entropy production, a universal theory of efficiency fluctuations at long times, for machines with a finite state space, was developed by Verley et al. [Nat. Commun. 5, 4721 (2014); Phys. Rev. E 90, 052145 (2014)]. We extend this theory to machines with an arbitrary state space. Thereby, we work out more detailed prerequisites for the universal features and explain under which circumstances deviations can occur. We also illustrate our findings with exact results for two nontrivial models of colloidal engines.
Solving moment hierarchies for chemical reaction networks
2017. Supriya Krishnamurthy, Eric Smith. Journal of Physics A 50 (42)
ArticleThe study of chemical reaction networks (CRN's) is a very active field. Earlier well-known results (Feinberg 1987 Chem. Enc. Sci. 42 2229, Anderson et al 2010 Bull. Math. Biol. 72 1947) identify a topological quantity called deficiency, for any CRN, which, when exactly equal to zero, leads to a unique factorized steady-state for these networks. No results exist however for the steady states of non-zero-deficiency networks. In this paper, we show how to write the full moment-hierarchy for any non-zero-deficiency CRN obeying mass-action kinetics, in terms of equations for the factorial moments. Using these, we can recursively predict values for lower moments from higher moments, reversing the procedure usually used to solve moment hierarchies. We show, for non-trivial examples, that in this manner we can predict any moment of interest, for CRN's with non-zero deficiency and non-factorizable steady states.
Exact satisfiability threshold for k-satisfiability problems on a Bethe lattice
Unrelated to this page: calculated molecules =
-- begin --
[1]
{"formula": "C4H5NO", "method": "ωB97M-V/def2-TZVPD", "species": ["C", "C", "C", "H", "H", "H", "H", "N", "C", "O", "H"], "coordinates": [[-1.17964, 0.29818, -0.84349], [-0.66201, -0.84406, -1.09765], [0.02025, 0.42337, -1.68503], [-2.09467, 0.81192, -0.59443], [-0.59820, -1.91706, -1.12576], [-0.17615, 0.62217, -2.71765], [0.85203, 0.84015, -1.11289], [1.08412, -0.33035, 1.69684], [0.94562, 0.10285, 2.76898], [1.24590, 0.32854, 3.85812], [0.56274, -0.33570, 0.85294]], "forces_ev_per_a": [[-2.02, 0.00, 0.08], [1.12, 0.17, -0.44], [-0.02, -0.57, 1.29], [0.17, 0.03, 0.39], [-0.21, 0.08, 0.13], [0.63, 0.33, -0.55], [0.34, -0.04, -0.99], [-0.28, -1.29, -4.28], [1.62, 0.07, 2.42], [-0.85, 1.18, 2.31], [-0.50, 0.03, -0.37]], "nbo_charge": [-0.1835, -0.2046, -0.4459, 0.2235, 0.2401, 0.1941, 0.1893, -0.7476, 0.8295, -0.5117, 0.4167], "homo_lumo_gap_ev": 10.8935, "homo_energy_ev": -10.215, "molar_mass_g_mol": 83.1, "e_tot_ev": -7763.214, "smiles": "C1=CC1.N=C=O", "de_lowest_ev": 3.313, "charge": 0, "fmax_ha_per_bohr": 0.0871}

---

[2]
{"formula": "C4H5NO", "method": "ωB97M-V/def2-TZVPD", "species": ["C", "C", "C", "O", "H", "H", "C", "N", "H", "H", "H"], "coordinates": [[1.85393, 0.79794, 0.21788], [1.56260, 0.13265, 1.32674], [0.66587, -0.72248, 1.75925], [-0.00568, -1.46930, 2.35245], [1.25506, 0.71922, -0.68743], [2.71611, 1.45857, 0.16172], [-1.68009, 0.22279, -1.08245], [-0.90692, -0.73104, -0.77202], [-2.31455, 0.24400, -1.97445], [-1.73288, 1.10025, -0.43463], [-0.96388, -1.48111, -1.46236]], "forces_ev_per_a": [[0.02, -0.03, 0.11], [-0.03, -0.02, -0.07], [-0.39, -0.40, 0.35], [0.55, 0.59, -0.46], [-0.02, -0.07, 0.08], [-0.05, -0.05, 0.07], [0.08, -0.08, 0.03], [-0.26, 0.21, -0.20], [0.03, -0.06, 0.07], [0.06, -0.09, -0.02], [0.01, 0.02, 0.03]], "nbo_charge": [-0.2511, -0.3985, 0.7108, -0.4478, 0.1897, 0.1897, -0.0388, -0.6044, 0.1500, 0.1628, 0.3375], "homo_lumo_gap_ev": 8.4975, "homo_energy_ev": -8.621, "molar_mass_g_mol": 83.1, "e_tot_ev": -7763.187, "smiles": "C=C=C=O.C=N", "de_lowest_ev": 3.339, "charge": 0, "fmax_ha_per_bohr": 0.0180}

---

[3]
-- stop --
2015. Supriya Krishnamurthy, Sumedha. Physical Review E. Statistical, Nonlinear, and Soft Matter Physics 92 (4)
ArticleThe satisfiability threshold for constraint satisfaction problems is that value of the ratio of constraints (or clauses) to variables, above which the probability that a random instance of the problem has a solution is zero in the large system limit. Two different approaches to obtaining this threshold have been discussed in the literature: using first or second moment methods which give rigorous bounds or using the nonrigorous but powerful replica-symmetry-breaking (RSB) approach, which gives very accurate predictions on random graphs. In this paper, we lay out a different route to obtaining this threshold on a Bethe lattice. We need make no assumptions about the solution-space structure, a key assumption in the RSB approach. Despite this, our expressions and threshold values exactly match the best predictions of the cavity method under the one-step RSB hypothesis. In addition we can use the same procedure to obtain other useful quantities on the Bethe lattice such as the second moment of the number of solutions. Our method hence provides alternate interpretations as well as motivations for the key equations in the RSB approach.
Nonequilibrium phase transitions in biomolecular signal transduction
2011. Eric Smith (et al.). Physical Review E. Statistical, Nonlinear, and Soft Matter Physics 84 (5), 051917
ArticleWe study a mechanism for reliable switching in biomolecular signal-transduction cascades. Steady bistable states are created by system-size cooperative effects in populations of proteins, in spite of the fact that the phosphorylation-state transitions of any molecule, by means of which the switch is implemented, are highly stochastic. The emergence of switching is a nonequilibrium phase transition in an energetically driven, dissipative system described by a master equation. We use operator and functional integral methods from reaction-diffusion theory to solve for the phase structure, noise spectrum, and escape trajectories and first-passage times of a class of minimal models of switches, showing how all critical properties for switch behavior can be computed within a unified framework.
Show all publications by Supriya Krishnamurthy at Stockholm University